01 What is Ki?

A perplexing question and uniquely a question asked in the West. We are brought up in a culture of deductive reasoning and rather than have something just 'be' we want to know the who, what and why? The trouble is we learn about Ki through Eastern practice often traditionally and these kinds of questions are unusual. So here we are asking a question of a culture/ pedagogy that is unfamiliar with being asked these questions.

Within the framework of aikido ki is popularly talked about and even practiced through Ki development exercises, so what to do - withhold disbelief and suspend our western minds while we learn - or can we find out a little more on the way.

~~~
Li4SnB2O6 | PBE-GGA | relaxed

## Properties
SG ... Pnnm, No. 58
Calculated volume ... 11.00 Å³ per atom
Energy of formation from the pure elements ... -2.39 eV/atom
Total energy after the MP2020 corrections ... -171.65 eV per cell

Cell: 8.5019 9.4626 3.5553 Å, 90.00 90.00 90.00°
Last column: nearest neighbours and their distance in Å.
Sites, in units of the cell vectors:
Li1 0.0156 0.2011 0.0000  4 O 1.98-2.01
Li2 0.1730 0.0450 0.5000  4 O 2.06-2.21
Li3 0.3270 0.5450 0.0000  4 O 2.06-2.21
Li4 0.4844 0.7011 0.5000  4 O 1.98-2.01
Li5 0.5156 0.2989 0.5000  4 O 1.98-2.01
Li6 0.6730 0.4550 0.0000  4 O 2.06-2.21
Li7 0.8270 0.9550 0.5000  4 O 2.06-2.21
Li8 0.9844 0.7989 0.0000  4 O 1.98-2.01
Sn1 0.0000 0.5000 0.5000  6 O 2.44-2.59
Sn2 0.5000 0.0000 0.0000  6 O 2.44-2.59
B1 0.2268 0.7878 0.5000  3 O 1.38-1.41
B2 0.2732 0.2878 0.0000  3 O 1.38-1.41
B3 0.7268 0.7122 0.0000  3 O 1.38-1.41
B4 0.7732 0.2122 0.5000  3 O 1.38-1.41
O1 0.0771 0.8450 0.5000  1 B 1.38
O2 0.1431 0.3795 0.0000  1 B 1.41
O3 0.2398 0.1428 0.0000  1 B 1.40
O4 0.2602 0.6428 0.5000  1 B 1.40
O5 0.3569 0.8795 0.5000  1 B 1.41
O6 0.4229 0.3450 0.0000  1 B 1.38
O7 0.5771 0.6550 0.0000  1 B 1.38
O8 0.6431 0.1205 0.5000  1 B 1.41
O9 0.7398 0.3572 0.5000  1 B 1.40
O10 0.7602 0.8572 0.0000  1 B 1.40
O11 0.8569 0.6205 0.0000  1 B 1.41
O12 0.9229 0.1550 0.5000  1 B 1.38
~~~

Experienced practitioners of the martial arts including Aikido can demonstrate impressive feats of coordination and skill. Often their skills are shrouded in mysticism and eastern spirituality and these feats are sometimes attributed to the development of Ki or Chi energy. In particular the 'internal arts', which are those that use primarily soft blending movements, focus on the development of Ki and Chi. This paper focuses on these internal aspects as applied to the physical test or feat called "unraisable body" and its development in the art of aikido, but is somewhat generalisable to other martial arts. Some historical background to the concept of Ki is presented as well as suggesting why it is used as a teaching paradigm. Unraisable body, a teaching curriculum example of Ki development is presented and an equivalent physical paradigm is suggested. The test is performed under laboratory conditions with a tri axial force plate to validate the physical paradigm.


When a new student begins training in martial arts they are confronted with aspects of eastern culture, much of which is incorporated into the basic ethos of the class. This usually includes lots of bowing and various phrases of an asian language. And while initially this is all quite strange it turns out there are very good reasons for this ritual behaviour. Bowing for instance is not some strange religious act but a method of encouraging respect for the art, its founder, the teacher and fellow students. Ritual also forms an integral part of Asian culture. Central to the techniques of aikido are the concepts of Ki and liberal use of the word is made in a typical class in both a martial and philosophical /spiritual sense. This discussion will centre on comparing the Ki paradigm with the paradigms of physics for performing the various techniques of aikido. The philosophical, spiritual aspects of Ki are not dealt with in this discussion, although the development of these aspects is considered an important and integral part of the art.

The culture of Ki

One of the first things students have to deal with is the concept of Ki and its application to aikido as well as perhaps their way of life. Explanations here range from a religious experience to explanations as mundane as the momentum of an opponent. Today there are many different styles of aikido some placing more emphasis on Ki and Ki development than others, this seems in some way to be a reflection of different interpretations of Ki. Tohei defines Ki as "cosmic power" and states that "Ki is a very complex word... and even more difficult to translate to westerners"[1]. Westbrook and Ratti [2] speak of the difficulty of defining Ki in a purely physical or mental sense.

The concept of Ki is a Japanese concept (Chi originates in China). and is more easily interpreted in the context of the roots of Japanese society. However to a westerner Ki is sometimes something of a struggle to grasp conceptually (though it appears that many Japanese find this difficult as well), this is compounded by having not usually internalised many of the precepts of Japanese society. Ideally then one would study all facets of Japanese society including some of the various religions and philosophies (such as Shinto, Zen etc.) to fully interpret Ki in its cultural context, unfortunately though this is a serious undertaking and would require a significant investment in time. The translation can, however be assisted if we look at some words that include the Ki character as it appears in the calligraphy for aikido. There are a number of different characters that represent Ki, alluding to it having a wider use within the Japanese society [3]. While there are many Japanese words that include this character for Ki which have deeply philosophical meanings there are also many that have purely physical meaning. Some examples that have a more physical meaning (together with their accompanying English translation) include denki (electricity), sekiyu (petrol/gasoline) and kiryoku (force). While this method of translation is at best a superficial one it demonstrates the generalised use of Ki in Japanese language and society. This is perhaps in line with Tohei 's teachings of Ki pervading all things. Perhaps using the physical sciences to examine Ki we need to be mindful of the development of science in eastern culture.

## Data records, kept here for reference
The following is a GGA-PBE calculation of Nb2CrOs after structural relaxation, from Materials Project.

Cell: 4.4607 4.4607 4.4607 Å, 60.00 60.00 60.00°
Last column: nearest neighbours and their distance in Å.
Sites, in units of the cell vectors:
Nb (0.2500, 0.2500, 0.2500)  4 Cr 2.73, 4 Os 2.73
Nb (0.7500, 0.7500, 0.7500)  4 Cr 2.73, 4 Os 2.73
Cr (0.5000, 0.5000, 0.5000)  8 Nb 2.73
Os (0.0000, 0.0000, 0.0000)  8 Nb 2.73

Summary:
Its space-group type is Fm-3m (225). The energy of formation is -0.1630 eV/atom.

=====

No. 1
The following is a PBE calculation of a relaxed structure of YCuSO7, from Materials Project.

abc: 6.085 6.118 14.900
angles: 90.00 90.00 90.00
Sites, in units of the cell vectors:
O1 0.015 0.706 0.986
O2 0.485 0.794 0.486
O3 0.750 0.027 0.857
O4 0.985 0.206 0.514
O5 0.485 0.706 0.986
O6 0.449 0.634 0.172
O7 0.750 0.301 0.208
O8 0.250 0.699 0.792
O9 0.985 0.294 0.014
O10 0.250 0.973 0.143
O11 0.750 0.199 0.708
O12 0.250 0.056 0.936
O13 0.949 0.366 0.828
O14 0.250 0.444 0.436
O15 0.750 0.944 0.064
O16 0.750 0.473 0.357
O17 0.051 0.866 0.672
O18 0.250 0.801 0.292
O19 0.449 0.866 0.672
O20 0.015 0.794 0.486
O21 0.515 0.206 0.514
O22 0.515 0.294 0.014
O23 0.750 0.556 0.564
O24 0.051 0.634 0.172
O25 0.949 0.134 0.328
O26 0.551 0.134 0.328
O27 0.551 0.366 0.828
O28 0.250 0.527 0.643
Y1 0.250 0.461 0.915
Y2 0.750 0.961 0.585
Y3 0.250 0.039 0.415
Y4 0.750 0.539 0.085
Cu1 0.500 0.500 0.500
Cu2 0.000 0.000 0.000
Cu3 0.500 0.000 0.000
Cu4 0.000 0.500 0.500
S1 0.750 0.235 0.806
S2 0.250 0.735 0.694
S3 0.250 0.765 0.194
S4 0.750 0.265 0.306

=====

No. 2
The following is a PBE calculation of a relaxed structure of Cu2SbO5, from Materials Project.

abc: 7.138 7.440 13.789
angles: 88.50 102.41 116.72
Sites, in units of the cell vectors:
Cu1 0.221 0.200 0.052
Cu2 0.194 0.703 0.544
Sb1 0.509 0.725 0.764
O1 0.761 0.707 0.773
O2 0.064 0.816 0.470
O3 0.336 0.603 0.629
O4 0.089 0.314 0.979
O5 0.348 0.089 0.129

=====

No. 3
The following is a PBE calculation of a relaxed structure of Cu13Si2Sb2O28, from Materials Project.

Computed properties:
**Energy relative to the lowest polymorph listed for this composition**: 9 meV per atom

abc: 5.410 8.062 11.962
angles: 88.15 77.12 81.98
Sites, in units of the cell vectors:
O1 0.556 0.861 0.306
O2 0.879 0.119 0.831
O3 0.911 0.341 0.000
O4 0.020 0.119 0.568
O5 0.704 0.887 0.998
O6 0.867 0.858 0.693
O7 0.415 0.879 0.568
O8 0.273 0.394 0.120
O9 0.712 0.393 0.297
O10 0.296 0.112 0.003
O11 0.446 0.137 0.695
O12 0.294 0.878 0.832
O13 0.687 0.421 0.583
O14 0.987 0.607 0.296
O15 0.394 0.391 0.882
O16 0.710 0.121 0.169
O17 0.122 0.878 0.169
O18 0.287 0.605 0.704
O19 0.268 0.422 0.417
O20 0.732 0.576 0.583
O21 0.135 0.140 0.307
O22 0.014 0.391 0.703
O23 0.606 0.607 0.118
O24 0.313 0.579 0.416
O25 0.088 0.657 0.000
O26 0.587 0.119 0.433
O27 0.726 0.606 0.880
O28 0.981 0.879 0.432
Cu1 0.421 0.999 0.158
Cu2 0.815 0.360 0.852
Cu3 0.336 0.637 0.852
Cu4 0.720 0.999 0.564
Cu5 0.282 0.000 0.437
Cu6 0.667 0.361 0.148

The development of Science in the East and West

The development of the physical sciences in Japan as we know it today was in conjunction with its contact with the west (though this is perhaps an ethnocentric observation), however development of the internal mind and philosophies was widely prevalent and advanced in East well before this Western influence [4]. Prior to this contact the development of the physical sciences in the East focused primarily on observation [5], for example the observations of the early Chinese astronomers was highly regarded. Discovery of the relationship between cause and effect was seen as less important [5], hence a theory such as Ki could satisfy observable data without discovering causality. The effects of the Ki paradigm then would be well documented but an understanding of how it works would not. Hence a physical science approach is not required or sought after for describing the physical world when a more philosophical description fits the observable. This would explain the tendencies of historical eastern culture to favour these sorts of explanations when describing complex observed events as this was more easily understood. However for today's scientific mind, assimilation of information in this way is difficult to accept. As scientists we can then try to understand the techniques of aikido and other eastern martial arts using paradigms that we are more familiar with.


[1] Tohei, Koichi , "Aikido :The co-ordination of mind and body for self-defence", Souvenir Press , London first edition 1966 

[2] Westbrook, A. and Ratti, O. "aikido and the dynamic sphere: an illustrated introduction", Charles E. Tuttle company Rutland, Vermont and Tokyo First Edition 1970 

[3] Kenkyusha,"Kenkyusha's FURIGANA english-japanese distionary", 1990 Kenkyusha limited, Tokyo Japan 

[4] Capra, Fritjof "The tao of physics" Shambala Press, Boulder 1975 

[5] Nakayama, Shigeru "Academic and scientific traditions in China, Japan, and the west", University of Tokyo Press, Tokyo 1984 

[6] Ohanian, Hans "Physics", Norton and Co. New York, 1985 

_Someone pasted records of crystals at this point_
+++
[1]
A plane-wave DFT calculation with PBE-GGA was carried out for a relaxed Ti9Ni2B8Ru18 crystal.

Summary:
- Size of the total moment: 0.0 μB/f.u.
- Symmetry: P4/mbm, No. 127
- Total energy: -645.0 eV for the cell shown

The structure in extended XYZ format:
```
74
Lattice="17.6078 0.0000 0.0000 0.0000 17.6078 0.0000 0.0000 0.0000 2.9941" Properties=species:S:1:pos:R:3 pbc="T T T"
Ti 5.3551 14.1589 1.4971
Ti 12.2527 3.4488 1.4971
Ti 14.1589 12.2527 1.4971
Ti 3.4488 5.3551 1.4971
Ti 0.0000 0.0000 1.4971
Ti 8.8039 8.8039 1.4971
Ti 3.2832 0.6096 1.4971
Ti 14.3246 16.9982 1.4971
Ti 12.0871 8.1943 1.4971
Ti 5.5207 9.4135 1.4971
Ti 16.9982 3.2832 1.4971
Ti 0.6096 14.3246 1.4971
Ti 9.4135 12.0871 1.4971
Ti 8.1943 5.5207 1.4971
Ti 5.7991 3.0048 1.4971
Ti 11.8087 14.6029 1.4971
Ti 14.6029 5.7991 1.4971
Ti 3.0048 11.8087 1.4971
Ni 7.9098 0.8941 1.4971
Ni 9.6980 16.7137 1.4971
Ni 16.7137 7.9098 1.4971
Ni 0.8941 9.6980 1.4971
B 2.9864 15.4695 1.4971
B 14.6214 2.1383 1.4971
B 11.7903 10.9422 1.4971
B 5.8175 6.6656 1.4971
B 2.1383 2.9864 1.4971
B 15.4695 14.6214 1.4971
B 6.6656 11.7903 1.4971
B 10.9422 5.8175 1.4971
B 5.9227 16.9355 1.4971
B 11.6851 0.6723 1.4971
B 14.7266 9.4762 1.4971
B 2.8812 8.1316 1.4971
B 0.6723 5.9227 1.4971
B 16.9355 11.6851 1.4971
B 8.1316 14.7266 1.4971
B 9.4762 2.8812 1.4971
Ru 4.4744 16.1838 0.0000
Ru 13.1334 1.4239 0.0000
Ru 13.2783 10.2278 0.0000
Ru 4.3295 7.3799 0.0000
Ru 1.4239 4.4744 0.0000
Ru 16.1838 13.1334 0.0000
Ru 7.3799 13.2783 0.0000
Ru 10.2278 4.3295 0.0000
Ru 7.3522 16.1561 0.0000
Ru 10.2556 1.4517 0.0000
Ru 16.1561 10.2556 0.0000
Ru 1.4517 7.3522 0.0000
Ru 5.8144 0.8894 0.0000
Ru 11.7934 16.7184 0.0000
Ru 14.6183 7.9145 0.0000
Ru 2.9895 9.6933 0.0000
Ru 16.7184 5.8144 0.0000
Ru 0.8894 11.7934 0.0000
Ru 9.6933 14.6183 0.0000
Ru 7.9145 2.9895 0.0000
Ru 2.9639 13.8845 0.0000
Ru 14.6439 3.7233 0.0000
Ru 11.7678 12.5272 0.0000
Ru 5.8400 5.0806 0.0000
Ru 3.7233 2.9639 0.0000
Ru 13.8845 14.6439 0.0000
Ru 5.0806 11.7678 0.0000
Ru 12.5272 5.8400 0.0000
Ru 1.7168 16.3757 0.0000
Ru 15.8910 1.2321 0.0000
Ru 10.5207 10.0360 0.0000
Ru 7.0871 7.5718 0.0000
Ru 1.2321 1.7168 0.0000
Ru 16.3757 15.8910 0.0000
Ru 7.5718 10.5207 0.0000
Ru 10.0360 7.0871 0.0000
```

[2]
A plane-wave DFT calculation with PBE-GGA was carried out for a relaxed Ni21B6Sb2 crystal.

Summary:
- Symmetry: Fm-3m, No. 225
- Total energy: -177.4 eV for the cell shown
- E (MP2020): -6.13 eV/atom

The structure in extended XYZ format:
```
29
Lattice="-4.5115 2.3369 5.4908 -6.2308 3.8009 -1.6411 -6.6943 -3.1989 0.9572" Properties=species:S:1:pos:R:3 pbc="T T T"
Ni -4.4444 -2.1238 0.6355
Ni -7.6386 3.2882 2.5165
Ni -9.5837 2.8871 1.0891
Ni -5.0893 2.8289 3.0938
Ni -6.5385 -0.8463 0.0840
Ni -2.9952 1.5515 3.6454
Ni -2.2499 -1.0751 0.3217
Ni -2.0941 1.2774 -0.5516
Ni -5.9607 -1.3384 2.4809
Ni -5.2451 0.4764 3.9671
Ni -1.5163 0.7854 1.8454
Ni -4.1367 2.5234 -1.0895
Ni -9.7980 -0.3493 2.2904
Ni -6.3866 1.4483 -0.7678
Ni -5.6530 3.3089 0.7559
Ni 0.0000 0.0000 0.0000
+++

[7] Eckert,J.W and Lee, Ta-Kwong "The anatomy of nikyo (aikido's second teaching)", Perceptual and motor skills v77 pp707-715 1993 

[8] Olson, G.D.,Seitz,F.C, Guldbrandsen, F. "An anatomical analysis of aikido's third teaching: an investigation of sankyo", Perceptual and motor skills, V78, pp1347-1352, 1994